This may seem like a trite request into getting some insight on human psychology, and I know I’m not a regular poster here, but bear with me … it’s a pretty simple question that I’d just like to get some opinions on. First, some dramatic expository. I know, I know, everyone hates it, but it’s necessary for some background.
I recently received a gift from a former girlfriend who I still maintain contact with. We’ve mutually agreed to be friends, even though I’d much rather it be more. She’s quite easily labelled as a bitch because she’s so stubborn, dogmatic about her beliefs, and doesn’t talk directly about what’s on her mind – instead choosing to hint at things and give mixed psychological signals, whether about a conversational topic or our friendship. Lately she’s been pretty forward with the physical flirtations when we see each other every few weeks … nudges, pokes, pinches, etc. We still have good times as friends but those moments make me unsure of how to act or respond. I just play it up and go along with it so as to not turn it into an awkward moment between us. I like to keep things lighthearted so as to not put either of us in an uncomfortable moment.
Moving on, she gave me this gift as a souvenir from a trip she went on recently. She’s never really given me any gifts, so it came as a surprise. Not an expensive gift by any means, but she is the type (like I said) to have a hidden meaning or motive behind the subtle things she does. The gift was nothing more than a primitive wooden fork and spoon bound in twine (she went to the Dominican Republic). Initially, I thought it was a cute gift – it’s the thought that counts, right? – and didn’t give it a second thought. I looked at them again today and it occurred to me that there may be a message hidden in this gift. The first thing that sprang to my mind was “does she want me to ask her to a nice dinner?” Sure, we’ve had “dinner dates” several times since we agreed to be “just friends”, but this gift seems oddly suggestive.
I apologize for all the personal drama, I don’t really like typing it much more than anyone really enjoys reading it, and maybe I’m looking too far into this … but she’s the only girl I still love to spend time with because she never ceases to surprise me with her unpredictably bittersweet edge. She’s never really been this forward since we parted ways, so I can’t help but wonder. I’m only trying to figure this out because I know her well enough to know that she must have some ulterior motive! Maybe she’s waiting for my reaction? Waiting to see if I got the hint? Anyone else agree, disagree, or just think I’m being an idiot and wasting my time giving this any thought?
'''
# 1
Hf9BMo4 (PBE-GGA, optimized geometry); ρ = 12.30 Mg/m³; V = 19.29 A^3/atom; spin magnetization = 0.001 μB/f.u.; calculated formation energy = -0.1800 eV per atom
1.0
8.559 0.000 0.000
-4.280 7.413 0.000
0.000 0.000 8.513
Hf B Mo
18 2 8
Direct
0.081 0.540 0.250
0.204 0.407 0.555
0.204 0.407 0.945
0.204 0.796 0.555
0.204 0.796 0.945
0.407 0.204 0.055
0.407 0.204 0.445
0.460 0.540 0.250
0.460 0.919 0.250
0.540 0.081 0.750
0.540 0.460 0.750
0.593 0.796 0.555
0.593 0.796 0.945
0.796 0.204 0.055
0.796 0.204 0.445
0.796 0.593 0.055
0.796 0.593 0.445
0.919 0.460 0.750
0.333 0.667 0.750
0.667 0.333 0.250
0.000 0.000 0.000
0.000 0.000 0.500
0.111 0.222 0.250
0.111 0.889 0.250
0.222 0.111 0.750
0.778 0.889 0.250
0.889 0.111 0.750
0.889 0.778 0.750



# 2
La2SiS5 (PBE-GGA, optimized geometry); ρ = 4.09 Mg/m³; V = 23.65 A^3/atom; E above lowest polymorph = 0.00 eV/f.u.; calculated formation energy = -1.9721 eV per atom
1.0
7.656 0.000 0.000
0.000 12.698 0.000
-1.567 0.000 7.786
La Si S
8 4 20
Direct
0.164 0.165 0.133
0.164 0.335 0.633
0.239 0.595 0.045
0.239 0.905 0.545
0.761 0.095 0.455
0.761 0.405 0.955
0.836 0.665 0.367
0.836 0.835 0.867
0.330 0.617 0.596
0.330 0.883 0.096
0.670 0.117 0.904
0.670 0.383 0.404
0.127 0.702 0.694
0.127 0.798 0.194
0.138 0.121 0.496
0.138 0.379 0.996
0.175 0.530 0.389
0.175 0.970 0.889
0.420 0.001 0.282
0.420 0.499 0.782
0.477 0.227 0.949
0.477 0.273 0.449
0.523 0.727 0.551
0.523 0.773 0.051
0.580 0.501 0.218
0.580 0.999 0.718
0.825 0.030 0.111
0.825 0.470 0.611
0.862 0.621 0.004
0.862 0.879 0.504
0.873 0.202 0.806
0.873 0.298 0.306



# 3
TbGaNi (PBE-GGA, optimized geometry); ρ = 8.79 Mg/m³; V = 18.09 A^3/atom; spin magnetization = 0.000 μB/f.u.; calculated formation energy = -0.5948 eV per atom
1.0
4.866 -2.094 0.000
4.866 2.094 0.000
-4.273 0.000 5.326
Tb Ga Ni
2 2 2
Direct
0.057 0.057 0.313
0.943 0.943 0.687
0.324 0.324 0.902
0.676 0.676 0.098
0.343 0.343 0.298
0.657 0.657 0.702



# 4
Ba5B3BrO9 (PBE-GGA, optimized geometry); ρ = 4.79 Mg/m³; V = 18.17 A^3/atom; spin magnetization = 0.000 μB/f.u.; calculated formation energy = -3.0968 eV per atom
1.0
5.325 -7.541 0.000
5.325 7.541 0.000
0.000 0.000 8.146
Ba B Br O
10 6 2 18
Direct
0.138 0.862 0.750
0.140 0.860 0.250
0.230 0.493 0.066
0.258 0.258 0.500
0.493 0.230 0.934
0.507 0.770 0.434
0.742 0.742 0.000
0.770 0.507 0.566
0.860 0.140 0.750
0.862 0.138 0.250
0.098 0.517 0.470
0.125 0.125 0.000
0.483 0.902 0.030
0.517 0.098 0.530
0.875 0.875 0.500
0.902 0.483 0.970
0.444 0.556 0.750
0.556 0.444 0.250
0.006 0.630 0.010
0.007 0.007 0.500
0.068 0.650 0.514
0.187 0.188 0.150
0.188 0.187 0.850
0.231 0.529 0.381
0.350 0.932 0.986
0.370 0.994 0.490
0.471 0.769 0.119
0.529 0.231 0.619
0.630 0.006 0.990
0.650 0.068 0.486
0.769 0.471 0.881
0.812 0.813 0.350
0.813 0.812 0.650
0.932 0.350 0.014
0.993 0.993 0.000
0.994 0.370 0.510



# 5
'''
Either way, I’d welcome any psychological or personal insight.
Next to the page, the page also holds calculated crystals:
/*
VASP calculation (r2SCAN) on a relaxed In3Ga crystal.

abc: 5.5743 5.5743 5.5743
angles: 130.68 130.68 72.32
With the nearest neighbours (Å) after each atom.
Atoms (fractional coordinates):
In 0.2500 0.7500 0.5000  8 In 3.24-3.29, 4 Ga 3.24
In 0.5000 0.5000 0.0000  8 In 3.24, 4 Ga 3.29
In 0.7500 0.2500 0.5000  8 In 3.24-3.29, 4 Ga 3.24
Ga 0.0000 0.0000 0.0000  12 In 3.24-3.29

Summary:
V: 97 Å³/cell
SG: I4/mmm (139)
total energy: -19.73 eV/atom

---

VASP calculation (r2SCAN) on a relaxed InGaSb2 crystal.

abc: 4.4827 4.4827 6.3707
angles: 90.00 90.00 90.00
With the nearest neighbours (Å) after each atom.
Atoms (fractional coordinates):
Sb 0.5000 0.0000 0.7674  2 Ga 2.69, 2 In 2.82
Sb 0.0000 0.5000 0.2326  2 Ga 2.69, 2 In 2.82
Ga 0.0000 0.0000 0.0000  4 Sb 2.69
In 0.5000 0.5000 0.5000  4 Sb 2.82

Summary:
V: 128 Å³/cell
SG: P-4m2 (115)
total energy: -21.57 eV/atom

---

VASP calculation (r2SCAN) on a relaxed Ga5Ir3 crystal.

abc: 5.8327 5.8327 14.2151
angles: 90.00 90.00 90.00
With the nearest neighbours (Å) after each atom.
Atoms (fractional coordinates):
Ga 0.6497 0.2282 0.9470  4 Ir 2.49-2.63
Ga 0.2718 0.8503 0.5530  4 Ir 2.49-2.63
Ga 0.8503 0.7282 0.4470  4 Ir 2.49-2.63
Ga 0.1497 0.2718 0.4470  4 Ir 2.49-2.63
Ga 0.2282 0.3503 0.0530  4 Ir 2.49-2.63
Ga 0.1915 0.1557 0.8470  4 Ir 2.44-2.71, 1 Ga 2.71
Ga 0.6557 0.6915 0.6530  4 Ir 2.44-2.71, 1 Ga 2.71
Ga 0.1557 0.8085 0.1530  4 Ir 2.44-2.71, 1 Ga 2.71
Ga 0.8085 0.8443 0.8470  4 Ir 2.44-2.71, 1 Ga 2.71
Ga 0.7282 0.1497 0.5530  4 Ir 2.49-2.63
Ga 0.7718 0.6497 0.0530  4 Ir 2.49-2.63
Ga 0.3503 0.7718 0.9470  4 Ir 2.49-2.63
Ga 0.8443 0.1915 0.1530  4 Ir 2.44-2.71, 1 Ga 2.71
Ga 0.8321 0.3321 0.7500  4 Ir 2.43-2.71, 2 Ga 2.71
Ga 0.3443 0.3085 0.6530  4 Ir 2.44-2.71, 1 Ga 2.71
Ga 0.6915 0.3443 0.3470  4 Ir 2.44-2.71, 1 Ga 2.71
Ga 0.1679 0.6679 0.7500  4 Ir 2.43-2.71, 2 Ga 2.71
Ga 0.3321 0.1679 0.2500  4 Ir 2.43-2.71, 2 Ga 2.71
Ga 0.6679 0.8321 0.2500  4 Ir 2.43-2.71, 2 Ga 2.71
Ga 0.3085 0.6557 0.3470  4 Ir 2.44-2.71, 1 Ga 2.71
Ir 0.0000 0.0000 0.3272  6 Ga 2.43-2.71
Ir 0.0000 0.5000 0.9140  8 Ga 2.49-2.71
Ir 0.0000 0.0000 0.6728  6 Ga 2.43-2.71
Ir 0.5000 0.0000 0.0860  8 Ga 2.49-2.71
Ir 0.5000 0.5000 0.5000  8 Ga 2.55-2.61
Ir 0.0000 0.0000 0.0000  8 Ga 2.55-2.61
Ir 0.0000 0.5000 0.2500  4 Ga 2.44
Ir 0.0000 0.5000 0.5860  8 Ga 2.49-2.71
Ir 0.5000 0.5000 0.1728  6 Ga 2.43-2.71
Ir 0.5000 0.0000 0.7500  4 Ga 2.44
Ir 0.5000 0.5000 0.8272  6 Ga 2.43-2.71
Ir 0.5000 0.0000 0.4140  8 Ga 2.49-2.71

Summary:
V: 484 Å³/cell
SG: P-4n2 (118)
total energy: -27.32 eV/atom

---

VASP calculation (r2SCAN) on a relaxed LiGaIr crystal.

abc: 4.0406 4.0406 5.4453
angles: 90.00 90.00 120.00
With the nearest neighbours (Å) after each atom.
Atoms (fractional coordinates):
Li 0.6667 0.3333 0.2500  3 Ga 2.33
Li 0.3333 0.6667 0.7500  3 Ga 2.33
Ga 0.6667 0.3333 0.7500  3 Li 2.33
Ga 0.3333 0.6667 0.2500  3 Li 2.33
Ir 0.0000 0.0000 0.5000  6 Li 2.70, 6 Ga 2.70, 2 Ir 2.72
Ir 0.0000 0.0000 0.0000  6 Ga 2.70, 6 Li 2.70, 2 Ir 2.72
*/
Here the page continues:
Thanks for reading,